Episodes: Series - Bent El Belad 2 - 2022

  • season 2
  • episode #1

1st Episode

Suleiman treats Aisha after she attempted to commit suicide and have an abortion for refusing Salman's marriage to Sarah besides her, after which she asks for a divorce. Meanwhile, Dawia admires Suleiman and tries hard to reach him.


  • season 2
  • episode #2

2nd Episode

The Hajj and Umm Al-Khair convince Aisha not to get a divorce or have an abortion. Abu Salman (Salman's father) quarrels with his son over his drunkenness. Qamra warns Hezia against her relationship with Saeed, who works with the mafia, while Karim threatens to kill them.


  • season 2
  • episode #3

3rd Episode

Umm Al-Khair wants Hezia and El Hadi to tie the knot, while Aisha listens to her father-in-law and tries to return to her husband to spite Sarah.


  • season 2
  • episode #4

4th Episode

The Hajj quarrels with Saeed, thinking that he is a traitor. Rosa tells Aisha that she is pregnant, after which the latter quarrels with Sarah, who causes her to fall off the stairs.


  • season 2
  • episode #5

5th Episode

Hezia tells El Hadi that she doesn't want to marry him, so he goes to quarrel with Saeed, who beats him severely. Salman is overjoyed when Aisha forgives Sarah.


  • season 2
  • episode #6

6th Episode

Umm Al-Khair wants to come between Amir and Rosa, while Saeed runs away after beating El Hadi. Louisa quarrels with Hezia because she told El Hadi about her relationship with Saeed.

Inserted here: molecular data >
Record 1
This record from the OMol25 dataset describes a 2-piece molecular cluster, C3H9BO2S overall. The level of theory is ωB97M-V with the def2-TZVPD basis set.

Relative energy (zero: lowest compared OMol25 entry of this formula, charge and spin) = 143.2 kcal/mol
Calculated total energy = -18859.4320 eV

Last column: Löwdin charge in e.
Positions of all 16 atoms, in Å:
1 S 2.712 -0.395 0.318  0.880
2 O 0.752 1.687 -0.511  -0.042
3 O -1.025 0.048 0.699  -0.117
4 C -0.320 2.455 -0.783  -0.110
5 C 1.861 -1.723 -0.709  -0.337
6 C -2.105 -0.765 1.200  -0.128
7 B 1.697 0.997 -0.151  -0.520
8 H -0.202 3.161 -1.602  0.027
9 H -2.819 -1.095 0.456  0.071
10 H 0.856 -1.636 -0.587  -0.022
11 H 2.282 -1.638 -1.835  0.102
12 H -2.572 -0.386 2.099  0.068
13 H -0.293 3.043 0.129  0.046
14 H -1.641 -1.769 1.498  0.095
15 H -1.446 0.718 0.287  -0.037
16 H 2.264 -2.701 -0.508  0.025

=====

Record 2
This record from the OMol25 dataset describes an isolated molecule of C5H8N2O3. The level of theory is ωB97M-V with the def2-TZVPD basis set.

Relative energy (zero: lowest compared OMol25 entry of this formula, charge and spin) = 50.0 kcal/mol
SMILES string = O=NN1CCC[C@@H]1C(=O)O
Calculated total energy = -14435.5763 eV

Last column: Löwdin charge in e.
Positions of all 18 atoms, in Å:
1 O 0.899 2.195 1.448  0.103
2 O -1.038 2.581 0.401  0.129
3 O 2.796 -1.106 0.665  -0.035
4 N 1.874 -0.414 1.089  -0.079
5 N 0.754 -0.440 0.404  -0.107
6 C -0.444 0.270 0.824  -0.182
7 C -0.670 -0.516 -1.439  -0.169
8 C -1.484 -0.172 -0.217  -0.130
9 C 0.638 -1.121 -0.936  -0.078
10 C -0.256 1.790 0.855  -0.452
11 H -2.273 0.555 -0.389  0.123
12 H 1.526 -0.733 -1.462  0.128
13 H -1.237 -1.190 -2.078  0.114
14 H -0.697 -0.206 1.795  0.170
15 H -1.898 -1.109 0.190  0.125
16 H 0.576 -2.207 -0.772  0.132
17 H 1.473 1.416 1.636  0.084
18 H -0.539 0.409 -2.013  0.124

=====

Record 3
This record from the OMol25 dataset describes a 2-piece molecular cluster, C4H8NO2 overall. The level of theory is ωB97M-V with the def2-TZVPD basis set.

Relative energy (zero: lowest compared OMol25 entry of this formula, charge and spin) = 114.6 kcal/mol
Total charge = +1
Calculated total energy = -9851.3598 eV

Last column: Löwdin charge in e.
Positions of all 15 atoms, in Å:
1 O 1.798 1.046 -0.880  0.188
2 O 3.203 -0.027 0.754  0.270
3 N -0.355 -0.357 0.298  -0.106
4 C 1.355 -0.345 -0.917  0.218
5 C 2.446 0.157 -0.098  -0.435
6 C -0.483 0.902 1.024  -0.030
7 C -1.552 -0.694 -0.564  0.002
8 H -2.248 0.051 -0.394  0.071
9 H -1.364 -0.515 -1.581  0.069
10 H 0.232 1.050 1.915  0.151
11 H -0.419 1.674 0.317  0.087
12 H -1.822 -1.787 -0.428  0.142
13 H -0.031 -1.149 0.824  0.143
14 H -1.465 0.808 1.390  0.086
15 H 0.705 -0.815 -1.662  0.144

=====

Record 4
This record from the OMol25 dataset describes a 2-piece molecular cluster, C3H8O4 overall. The level of theory is ωB97M-V with the def2-TZVPD basis set.

Relative energy (zero: lowest compared OMol25 entry of this formula, charge and spin) = 109.1 kcal/mol
Here the piece continues >


  • season 2
  • episode #7

7th Episode

El Hadi awakens from the coma and loses his memory. Saeed leaves with Jaloul, while Ruqayya remembers how she previously sought help from Umm Al-Khair to hide her in the house of El Sabti and his wife.


  • season 2
  • episode #8

8th Episode

As Rosa quarrels with Amir, Aisha tries to patch things up between them, while the Hajj beats Hezia and admonishes Louisa for her daughter's relationship with Saeed. El Hadi is still suffering from amnesia and treats everyone as if he has known them for ten years.


  • season 2
  • episode #9

9th Episode

After the Hajj's house burns down, he takes his family to a house he inherited from his grandfather. Sarah is afraid to sleep in this house, believing that there are ghosts, while Umm Al-Khair and Louisa make fun of her.


  • season 2
  • episode #10

10th Episode

Rosa quarrels with Sarah and asks her not to offend Aisha, while Qamra tells El Hadi that Hezia was engaged to him, but she broke off the engagement, upon which El Hadi grieves and cries.


  • season 2
  • episode #11

11th Episode

As Umm Al-Khair and Louisa quarrel and remember the past, Fatoum tries to reconcile them, while Dawia asks the fortune-teller to foresee her luck with Suleiman. Hezia grows attached to El Hadi after he has become a kindhearted man.


  • season 2
  • episode #12

12th Episode

El Hadi asks Qamra to help him make amends with those whom he has previously wronged, after which Jaloul's men kidnap Qamra, thinking that she is Hezia. Rosa quarrels with Sarah.


  • season 2
  • episode #13

13th Episode

Saeed tells his father that the girl he kidnapped is Qamra and not Hezia, whereupon his father tries to commit suicide, but his son prevents him. Meanwhile, Ruqayya decides to take revenge on the Hajj's family by causing trouble between Louisa and Umm Al-Khair.


  • season 2
  • episode #14

14th Episode

Saeed quarrels with Qamra and slaps her, and Jaloul makes sure that he won't leave him. Fatoum takes the Hajj's phone and hides it from him, while Amir is angry with Rosa for hiding what happened to Hezia.


  • season 2
  • episode #15

15th Episode

Qamra asks Saeed to take her back to the village, while the Hajj orders his men to search for her. Hezia confesses to El Hadi about her relationship with Saeed. Salam tells El Hadi that Saeed was the one who hit him on the head.


  • season 2
  • episode #16

16th Episode

As Qamra quarrels with Jaloul over the restriction of her movements, she asks him to take her back to the village. Dawia tells Fatoum that she loves Suleiman and has no preconditions for marrying him, but he doesn't love her back.


  • season 2
  • episode #17

17th Episode

Qamra asks Jaloul and Issa to buy her new clothes, while Salam meets Umm Al-Khair in her room and tries to comfort her due to Qamra's kidnapping.


  • season 2
  • episode #18

18th Episode

Rosa quarrels with Amir because he does not trust her and accuses her of causing trouble. Salam defends Sarah, while Louisa seeks to get close to the Hajj. Aisha kicks Salam out of her room and refuses to let him stay with her.


  • season 2
  • episode #19

19th Episode

As Dawia tries to get Suleiman to marry her, she talks to El Hadi and gives him a memory-boosting drink. Salam quarrels with Sarah.


  • season 2
  • episode #20

20th Episode

Hezia and El Hadi's relationship grows stronger. Rosa is unaware of Amir's deception of her and his marriage to Qamra, while Fatoum reports all the news to Umm Al-Khair.


  • season 2
  • episode #21

21st Episode

Saeed threatens Jaloul that he'll inform on him, while Salam fights with Sarah and divorces her.


  • season 2
  • episode #22

22nd Episode

Saeed returns to the Hajj's house with Qamra and asks him for forgiveness, but the Hajj kicks him out, upon which Fatoum begs the Hajj to accept him in the house. Salman learns that Sarah is Jaloul's daughter, while Amir gets close to Rosa and tries to restore their relationship as it was before.


  • season 2
  • episode #23

23rd Episode

Louisa advises Rosa to have children to keep her place in the house. Salam returns to Aisha after leaving Sarah, while the Hajj wants to punish Qamra and have Saeed imprisoned.


  • season 2
  • episode #24


Amir tells his mother and Rosa that he will not agree to marry Qamra, despite the insistence of the Hajj, and decides to live in a separate house, while the relationship between Salam and Aisha grows stronger.
